Wednesday, May 26, 2021

Every House Has a Secret - 5


Two days after they had seen the house, Brady and Rand made an offer on it that was less than the asking price. It was accepted almost immediately, much to their relief. They had already been pre-approved for a mortgage and had enough in savings for the down payment. 


The next step was the inspection. Thankfully, the inspector found no surprises. It was structurally sound, just as the realtor had said, and the plumbing was good, as were the electrical components. He did tell them they should have the chimney cleaned and that they ought to consider updating the appliances.


"The air conditioning units definitely need to be replaced," he said. "As does the bathroom toilet."


"But not the tub?" Brady asked. "It looks like it's as old as the house."


"It's not. It's an excellent reproduction and the plumbing is fine."


"Why would someone…? Never mind. They probably wanted it to look like it belonged to the house," Rand said. "Since we need a new toilet, maybe we should look into getting a real tub or a shower stall at the same time."


Brady shook his head, muttering, "Budget, Rand, budget." He turned to the inspector to ask, "What about the cracks and the missing swath of plaster in the wall by the fireplace? Are they something we should be worried about? "


"No. It's not structural. My best guess is someone knocked something heavy against it. Replaster before you paint and you'll never know they were there."


"Good. I was afraid the house had shifted and we might be facing worse if it happened again."


"Don’t worry, it hasn't."


The appraiser calculated the value of the house and property at above the asking price, which worried Brady when he thought about property taxes, until the man told him the city's appraisal would undoubtedly be less due to the values of other homes in the neighborhood.


The last step was getting final mortgage approval. As soon as that happened, they closed on the house and it was theirs.


"Now comes the fun part," Rand said that evening as they celebrated at their favorite restaurant.


"Busting our asses for the next six months so we can move in?"


"Three months, tops, if we spend every waking hour at the house when we're not working."

**Inserted here: crystal structures:**
-- begin --
i) # Na2Fe3P3O12

Crystalline Na2Fe3P3O12 at its relaxed geometry (PBE with a Hubbard U, the Materials Project).

Unit cell a=8.693 b=8.693 c=6.613 alpha=73.65 beta=73.65 gamma=93.43
Fractional positions:
Na: 0.984 0.016 0.750
Na: 0.016 0.984 0.250
Na: 0.500 0.500 0.500
Na: 0.500 0.500 0.000
Fe: 0.944 0.619 0.625
Fe: 0.619 0.944 0.125
Fe: 0.056 0.381 0.375
Fe: 0.730 0.270 0.250
Fe: 0.270 0.730 0.750
Fe: 0.381 0.056 0.875
P: 0.125 0.342 0.883
P: 0.658 0.875 0.617
P: 0.291 0.709 0.250
P: 0.342 0.125 0.383
P: 0.709 0.291 0.750
P: 0.875 0.658 0.117
O: 0.605 0.956 0.805
O: 0.264 0.531 0.255
O: 0.528 0.729 0.667
O: 0.956 0.605 0.305
O: 0.271 0.472 0.833
O: 0.323 0.996 0.612
O: 0.531 0.264 0.755
O: 0.830 0.828 0.606
O: 0.677 0.004 0.388
O: 0.262 0.822 0.038
O: 0.996 0.323 0.112
O: 0.828 0.830 0.106
O: 0.472 0.271 0.333
O: 0.044 0.395 0.695
O: 0.736 0.469 0.745
O: 0.004 0.677 0.888
O: 0.469 0.736 0.245
O: 0.395 0.044 0.195
O: 0.172 0.170 0.894
O: 0.738 0.178 0.962
O: 0.170 0.172 0.394
O: 0.178 0.738 0.462
O: 0.822 0.262 0.538
O: 0.729 0.528 0.167

---

ii) # Na2Fe3P3O12

Crystalline Na2Fe3P3O12 at its relaxed geometry (PBE with a Hubbard U, the Materials Project).

Unit cell a=5.010 b=12.133 c=16.080 alpha=80.76 beta=90.00 gamma=90.00
Fractional positions:
Na: 0.515 0.140 0.842
Na: 0.985 0.140 0.342
Na: 0.485 0.860 0.158
Na: 0.015 0.860 0.658
Na: 0.502 0.334 0.663
Na: 0.998 0.334 0.163
Na: 0.498 0.666 0.337
Na: 0.002 0.666 0.837
Fe: 0.518 0.940 0.345
Fe: 0.982 0.940 0.845
Fe: 0.482 0.060 0.655
Fe: 0.018 0.060 0.155
Fe: 0.516 0.603 0.677
Fe: 0.984 0.603 0.177
Fe: 0.484 0.397 0.323
Fe: 0.016 0.397 0.823
Fe: 0.496 0.725 0.991
Fe: 0.004 0.725 0.491
Fe: 0.504 0.275 0.009
Fe: 0.996 0.275 0.509
P: 0.057 0.820 0.288
P: 0.443 0.820 0.788
P: 0.943 0.180 0.712
P: 0.557 0.180 0.212
P: 0.934 0.842 0.046
P: 0.566 0.842 0.546
P: 0.066 0.158 0.954
P: 0.434 0.158 0.454
P: 0.054 0.487 0.615
P: 0.446 0.487 0.115
P: 0.946 0.513 0.385
P: 0.554 0.513 0.885
O: 0.751 0.828 0.288
O: 0.749 0.828 0.788
O: 0.249 0.172 0.712
O: 0.251 0.172 0.212
O: 0.238 0.826 0.040
O: 0.262 0.826 0.540
O: 0.762 0.174 0.960
O: 0.738 0.174 0.460
O: 0.751 0.490 0.621
O: 0.749 0.490 0.121
O: 0.249 0.510 0.379
O: 0.251 0.510 0.879
O: 0.370 0.062 0.406
O: 0.130 0.062 0.906
O: 0.630 0.938 0.594
O: 0.870 0.938 0.094
O: 0.649 0.610 0.932
O: 0.851 0.610 0.432
O: 0.351 0.390 0.068
O: 0.149 0.390 0.568
O: 0.342 0.732 0.735
O: 0.158 0.732 0.235
O: 0.658 0.268 0.265
O: 0.842 0.268 0.765
O: 0.179 0.792 0.379
O: 0.321 0.792 0.879
O: 0.821 0.208 0.621
O: 0.679 0.208 0.121
O: 0.805 0.066 0.749
O: 0.695 0.066 0.249
O: 0.195 0.934 0.251
O: 0.305 0.934 0.751
O: 0.196 0.466 0.704
O: 0.304 0.466 0.204
O: 0.804 0.534 0.296
O: 0.696 0.534 0.796
O: 0.784 0.733 0.090
O: 0.716 0.733 0.590
O: 0.216 0.267 0.910
O: 0.284 0.267 0.410
O: 0.209 0.143 0.042
O: 0.291 0.143 0.542
O: 0.791 0.857 0.958
O: 0.709 0.857 0.458
O: 0.820 0.399 0.427
O: 0.680 0.399 0.927
O: 0.180 0.601 0.573
O: 0.320 0.601 0.073

---
-- stop --


Brady smiled. "When you dream, you dream big."


"It'll happen. You'll see. You already found a contractor to deal with the porch so that's off our to-do list."


"It was a fair trade-off. I'll set up much better security on Nick's company than he has now in exchange."


"I love barter systems," Rand said. "Now if you had a client who was a plumber…"


"Sorry, I don't. We'll hit up the home improvement store for the toilet and air conditioners and hope they don't charge an arm and a leg to install them."


"And rent a sander for the floors because that's where we need to start."


  1. Old houses are good with the bones they are constructed well. But problems do come up cause if the age.

    1. Boy, is that the truth sometimes, as my kid has found out.

  2. I do so like old house even if they can have problems.
